Efficiency in construction is up to the management team and contractors involved to make it a reality. Inefficiency is the simple truth for most construction projects. Costs are driven up. Variables that go out of control throw off the schedule. A lot can disrupt what the plan was/is for a project.
# Records of crystals that have nothing to do with the text
____________
No. 1
Compound: KCuH6Pt
Source: Alexandria via LeMat-Bulk
Functional: GGA-PBE
Structure: relaxed

Lattice parameters (Å, degrees): 4.7580 4.7580 5.5909 90.00 90.00 120.00
Closest atoms and distances in Å follow each position.
Fractional coordinates of all 9 atoms:
K  0.0000  0.0000  0.0000  6 H 2.58
Cu  0.3333  0.6667  0.5000  6 H 1.85
H  0.3855  0.0261  0.6642  1 Pt 1.68, 1 Cu 1.85
H  0.3855  0.3595  0.3358  1 Pt 1.68, 1 Cu 1.85
H  0.6405  0.0261  0.3358  1 Pt 1.68, 1 Cu 1.85
H  0.6405  0.6145  0.6642  1 Pt 1.68, 1 Cu 1.85
H  0.9739  0.3595  0.6642  1 Pt 1.68, 1 Cu 1.85
H  0.9739  0.6145  0.3358  1 Pt 1.68, 1 Cu 1.85
Pt  0.6667  0.3333  0.5000  6 H 1.68

Computed properties:
Its symmetry is P312, No. 149. As for the total energy: -3.67 eV per atom. Its theoretical density is 4.6 g/cm3.



No. 2
Compound: K2Rb2CuH4
Source: Alexandria via LeMat-Bulk
Functional: GGA-PBE
Structure: relaxed

Lattice parameters (Å, degrees): 6.6743 6.6743 6.6743 115.38 115.38 98.21
Closest atoms and distances in Å follow each position.
Fractional coordinates of all 9 atoms:
K  0.1848  0.1848  0.0000  1 Cu 2.75
K  0.8152  0.8152  0.0000  1 Cu 2.75
Rb  0.2500  0.7500  0.5000  8 H 3.43, 4 K 3.61
Rb  0.7500  0.2500  0.5000  8 H 3.43, 4 K 3.61
Cu  0.5000  0.5000  0.0000  4 H 1.75
H  0.3270  0.3270  0.6540  1 Cu 1.75
H  0.3270  0.6730  0.0000  1 Cu 1.75
H  0.6730  0.3270  0.0000  1 Cu 1.75
H  0.6730  0.6730  0.3460  1 Cu 1.75

Computed properties:
Its symmetry is I4/mmm, No. 139. As for the total energy: -2.20 eV per atom. Its theoretical density is 2.4 g/cm3.



No. 3
Compound: K3Rb4CuH8
Source: Alexandria via LeMat-Bulk
Functional: GGA-PBE
Structure: relaxed

Lattice parameters (Å, degrees): 8.2673 8.2673 7.7930 117.32 117.32 55.09
Closest atoms and distances in Å follow each position.
Fractional coordinates of all 16 atoms:
K  0.0000  0.0000  0.0000  6 H 2.82-3.09
K  0.0000  0.5000  0.5000  4 H 2.66-2.71
K  0.5000  0.0000  0.5000  4 H 2.66-2.71
Rb  0.0000  0.0000  0.5000  2 H 2.63
Rb  0.0000  0.5000  0.0000  4 H 2.80-2.85
Rb  0.5000  0.0000  0.0000  4 H 2.80-2.85
Rb  0.5000  0.5000  0.5000  6 H 2.90-3.18
Cu  0.5000  0.5000  0.0000  4 H 1.88
H  0.2093  0.2093  0.6973  3 Rb 2.63-2.85, 2 K 2.71
H  0.2463  0.2463  0.2586  2 K 2.66, 2 Rb 2.80
H  0.3253  0.6740  0.1688  1 Cu 1.88
H  0.3260  0.6747  0.8312  1 Cu 1.88
H  0.6740  0.3253  0.1688  1 Cu 1.88
H  0.6747  0.3260  0.8312  1 Cu 1.88
H  0.7537  0.7537  0.7414  2 K 2.66, 2 Rb 2.80
H  0.7907  0.7907  0.3027  3 Rb 2.63-2.85, 2 K 2.71

Computed properties:
Its symmetry is C2/m, No. 12. As for the total energy: -2.41 eV per atom. Its theoretical density is 2.4 g/cm3.



No. 4
Compound: KCuH6Rh
Source: Alexandria via LeMat-Bulk
Functional: GGA-PBE
Structure: relaxed

Lattice parameters (Å, degrees): 4.6842 4.6842 5.4791 90.00 90.00 120.00
Closest atoms and distances in Å follow each position.
Fractional coordinates of all 9 atoms:
K  0.0000  0.0000  0.0000  6 H 2.67
Cu  0.3333  0.6667  0.5000  6 H 1.77
____________
Here is how to make construction projects more efficient.
Define Deliverables Upfront
Be clear about the project scope and deliverables upfront. Ensure a clear understanding and that all stakeholders know and agree with the plan. The best place to start is with a structured framework and a shared vision.
Set Up Realistic Goals
Goals for a construction project should be achievable. Unrealistic goals will only hurt your efficiency. Contractors may start to rush, cut corners, and make mistakes, increasing their stress levels. Deliver superior performance by setting the most realistic goals for the project.
Engage in Smart Cost-Cutting
Refer to your construction accounting software for project numbers in real time. Engage in cost-cutting where you can. Trimming expenses can save the average construction project up to 30% of its budget. This relies on having the right cost estimates, schedules, and construction plans.
Use Technology
Where you can leverage the construction technology that makes sense for your company, construction accounting software, drones, BIM, and other tech assets can make a project much more efficient. If you can specialize in these and other pieces of tech, the sky’s the limit for efficiency.
Make Contingency Plans
Incorporate contingency plans into your project planning to address potential risks and delays. This keeps you flexible enough to pivot if/when needed. A contingency plan will also help you maintain the timeline given to the client, even in the face of unforeseen events.
Act Fast to Minimize Delays
Interference and delays will occur. Act quickly to make the necessary decisions to resolve them. A fast, strong resolution is preferred. Ensure it considers budget and schedule limitations.
Keep the Construction Site Organized
A clean, organized construction site improves productivity. To this extent, ensure debris is cleaned up, equipment is not left in the way, and materials are properly stored. Do not leave accidents waiting to happen. Keep an updated inventory and plan for what goes where on-site.
Attached: materials data:
┌──
DFT (PBE+U) results for crystalline CrMoO4 at its relaxed geometry.

Lattice parameters (Å, degrees): 5.5873 5.5873 5.5873 108.18 108.18 112.09
Closest atoms and distances in Å follow each position.
Positions (direct):
Cr 0.0000 0.0000 0.0000  6 O 2.00-2.03
Cr 0.7500 0.2500 0.5000  6 O 2.00-2.03
Mo 0.2628 0.7628 0.5000  6 O 1.95-2.12
Mo 0.5128 0.5128 0.0000  6 O 1.95-2.12
O 0.1976 0.4964 0.7011  2 Mo 1.96-2.12, 1 Cr 2.03
O 0.2464 0.0453 0.7989  2 Mo 1.96-2.12, 1 Cr 2.03
O 0.2464 0.4476 0.2011  2 Mo 1.96-2.12, 1 Cr 2.03
O 0.3080 0.0011 0.3069  1 Mo 1.95, 2 Cr 2.00-2.01
O 0.6941 0.0011 0.6931  1 Mo 1.95, 2 Cr 2.00-2.01
O 0.7511 0.5580 0.8069  1 Mo 1.95, 2 Cr 2.00-2.01
O 0.7511 0.9441 0.1931  1 Mo 1.95, 2 Cr 2.00-2.01
O 0.7953 0.4964 0.2989  2 Mo 1.96-2.12, 1 Cr 2.03

Summary:
offset from the most stable computed form	0.0071	eV per atom
└──
Back to the text:
Establish Performance Measurements
Set KPIs to track performance at an individual and team level. Empower your team to be productive and realize construction project goals. Measure how efficient phases are coming along. If the performance is lacking, consider incentives, motivation, strengthening morale, and other strategies.
Optimize Your Communication
An efficient construction project requires effective communication at all levels. Ensure workers understand what is expected of them, work to resolve conflicts, and communicate well enough to minimize misunderstandings.
Centralize Project Collaboration
Use project management software to centralize your documents, collaboration, and project tracking. Centralizing these project components automates much of the monitoring and management. Finding out of inefficiencies can become much clearer when the data is there.
Reinforce Safety Standards
Efficiency does not come at the expense of safety. Conduct risk assessments before project phases. Use preventative measures to guard against hazards. Provide workers with safety gear and training. Monitor safety compliance, regularly inspect, and commit to prompt corrections.
Digitize and Store All Documents
Consider keeping project documents accessible in the cloud. This way, when you need to send a document to a client or project stakeholder, you know where to find it. A catalogue of documents in this context optimizes planning, operating, and managing a construction project.
Fine-Tune Procurement
Materials procurement should come from suppliers who can make timely deliveries. Automating procurement and tracking orders reduces errors and delays. To save time, opt for bulk purchases and consolidate orders where possible.
Properly Maintain Equipment
Proper maintenance of construction equipment and tools reduces the likelihood of a breakdown. There are many ways to do this, including IoT sensors and tracking. Make sure to maintain vital equipment.
Collect and Analyze Project Data
Construction projects generate mountains of data every day. Collect, sort, and analyze this data to inform you of key decisions relating to the workforce, materials, cost, schedule, and scope. Your construction accounting software and project management tools can assist with the analyses.
Monitor Resource Usage Continuously
Optimize resource allocation. Assess resource availability and work to prevent delays due to material or labour shortages. Match workers to tasks. Ensure material and equipment are available when they are required to be.
Try Prefabrication
Prefabricating building components can speed up a construction project, improve safety, and maximize quality control. Modular, prefabricated buildings are becoming more popular, and there is no comparison to on-site construction. Prefabrication is far more efficient.